lfs-scripts copied to clipboard
grub-mkimage: Error:
grub-mkimage cannot find »/usr/lib/grub/x8664-efi/moddep.lst«
Misplaced calculated crystals:
********
Starting from a GGA-PBE-relaxed structure, the XRD peak list of Y4Mg5Ni2 was simulated for CuKα.

Main lines, in order of rising 2θ (5 to 70 degrees two-theta):
2theta  I/Imax
9.21  57.3
11.19  100.0
14.05  33.6
32.92  40.5
33.74  45.6
33.90  44.6
34.02  22.3
34.93  19.4
35.60  20.5
37.81  45.5
38.15  36.5
40.07  19.3

Cell and atoms:
```
Y4Mg5Ni2
1.0
7.921 0.000 0.000
0.000 3.557 0.000
-0.609 0.000 9.604
Y Mg Ni
4 5 2
Cartesian
1.095 0.000 3.266
1.063 0.000 9.102
6.249 0.000 0.502
6.217 0.000 6.338
1.032 1.779 6.230
3.484 1.779 1.670
3.656 1.779 4.802
3.828 1.779 7.934
6.280 1.779 3.374
0.416 1.779 1.289
6.896 1.779 8.316
```

Starting from a GGA-PBE-relaxed structure, the XRD peak list of YMg6Ni was simulated for CuKα.

Main lines, in order of rising 2θ (5 to 70 degrees two-theta):
2theta  I/Imax
16.22  65.7
23.87  28.2
24.61  18.2
32.80  85.7
35.79  73.0
37.28  43.9
37.83  100.0
40.89  12.5
50.46  25.4
55.58  12.6
67.59  16.7
68.84  12.7

Cell and atoms:
```
YMg6Ni
1.0
4.824 0.000 0.000
0.000 3.087 5.875
0.000 -3.087 5.875
Y Mg Ni
1 6 1
Cartesian
0.000 0.000 0.000
0.000 -1.555 3.222
0.000 1.555 3.222
0.000 0.000 6.414
2.412 0.000 4.553
2.412 -1.530 7.504
2.412 1.530 7.504
2.412 0.000 9.939
```

Starting from a GGA-PBE-relaxed structure, the XRD peak list of Y3MgNi8 was simulated for CuKα.

Main lines, in order of rising 2θ (5 to 70 degrees two-theta):
2theta  I/Imax
20.75  3.8
21.66  5.2
27.34  3.8
35.74  42.3
42.16  100.0
42.23  34.1
44.02  11.5
44.19  37.1
51.44  4.2
64.26  10.8
68.60  21.5
68.70  14.2

Cell and atoms:
```
Y3MgNi8
1.0
2.509 1.449 8.227
-2.509 1.449 8.227
0.000 -2.897 8.227
Y Mg Ni
3 1 8
Cartesian
0.000 0.000 0.000
0.000 0.000 3.152
0.000 0.000 15.246
0.000 0.000 12.239
0.000 -1.460 5.597
-1.264 0.730 5.597
-1.247 -0.720 9.748
0.000 0.000 7.674
1.247 -0.720 9.748
0.000 1.440 9.748
1.264 0.730 5.597
0.000 0.000 20.026
```

Starting from a GGA-PBE-relaxed structure, the XRD peak list of YMg2Ni9 was simulated for CuKα.

Main lines, in order of rising 2θ (5 to 70 degrees two-theta):
2theta  I/Imax
11.25  23.9
21.44  23.4
26.00  14.0
36.98  17.4
37.22  13.6
38.77  8.8
43.14  28.0
43.67  18.1
43.78  100.0
46.17  31.2
47.28  30.2
51.18  20.8

Cell and atoms:
```
YMg2Ni9
1.0
2.431 1.404 7.865
-2.431 1.404 7.865
0.000 -2.807 7.865
Y Mg Ni
1 2 9
Cartesian
0.000 0.000 0.000
0.000 0.000 3.392
0.000 0.000 20.203
-1.225 -0.707 9.857
0.000 0.000 7.873
0.000 -1.415 13.738
-1.225 0.707 13.738
0.000 0.000 11.798
1.225 -0.707 9.857
0.000 1.415 9.857
0.000 0.000 15.723
1.225 0.707 13.738
```

Starting from a GGA-PBE-relaxed structure, the XRD peak list of Y2MgNi2 was simulated for CuKα.

Main lines, in order of rising 2θ (5 to 70 degrees two-theta):
2theta  I/Imax
17.07  23.3
24.24  7.3
34.01  24.2
36.20  100.0
38.77  24.0
44.48  8.5
48.06  12.8
51.30  12.5
52.89  6.9
57.15  10.3
63.38  10.6
69.87  7.1

Cell and atoms:
```
Y2MgNi2
1.0
7.345 0.000 0.000
0.000 7.345 0.000
0.000 0.000 3.787
Y Mg Ni
4 2 4
Cartesian
1.280 2.393 0.000
********
this is at the end of 03-mkiso
I noticed during part 02 the messages was about not being able to read some firmware, is this causing the probs?
It might be interesting to point out thar RedHat has a bug report of that with sot of an answer. It's at https://bugzilla.redhat.com/show_bug.cgi?id=1512493
I had to create a symlink to get this running, acually 2 links.
ln -s /mnt/lfs/usr/lib/grub/x86_64-efi /usr/lib/grub/x86_64-efi
ln -s /mnt/lfs/usr/share/syslinux /usr/share/syslinux
I noticed during part 02 the messages was about not being able to read some firmware, is this causing the probs?
Yes, its fine to ignore, just warning from mkinitramfs script autodetecting firmware for kernel modules.
I had to create a symlink to get this running, acually 2 links.
ln -s /mnt/lfs/usr/lib/grub/x86_64-efi /usr/lib/grub/x86_64-efi
ln -s /mnt/lfs/usr/share/syslinux /usr/share/syslinux
It happen because its tried to use syslinux files from host, which might different between each distro. Thanks for report, i will fix it.
@emmett1 that did not fix it, I still need to symlink it. That maybe a Debian problem. I will try Ubuntu on the weekend, if that works I'll try to find out why and if it's appliable to Debian.
But symlinking does finish the iso.
Please dont use ubuntu or any debian based distro. Ubuntu and debian basically the same thing. Debian often give problem when build lfs.
Sorry, but I'm a DDG (Debian Damaged Guy). Been using Debian exclusivly since 2005. Whenever a claim is made that Debian does not do something, it's my thing to find out why.
It does build these scripts and it does finish and the iso is usable. I will write a small short tutorial on that, hopefully by Friday evening or early Saturday.
The basics of doing this on Debian is stopping Dash, install some needed tools and software, run parts 01& 02, add 2 symlinks and run 03 - that's it.
I did not claim debian bad or anything, but debian is too advanced they split packages badly until sometimes things missing can caused compiling stuff failed. If you could make it work on debian, i will add it to readme how to make it work.
I understood your claim, from a developers point of view. And I agree that Debian does do some things in a strange way. I was only claiming that with some effort, Debian does things a lot of people don't think it can.
Anyway I'm in the process of setting up on of my "left over" domains and will add a small howto along with some screenshots of the way I use Virtualbox for this project.
### Data records from another source follow
'''
Theoretical powder diffractogram
Compound: NiRh2F11
Radiation: Cu Kα X-rays
Structure: a DFT-relaxed cell (PBE+U, Alexandria)

Cell lengths 7.9812, 10.7213, 10.4619 Å; angles 90.00, 90.00, 90.00 degrees
Space group Ibam (No. 72)
One atom of each set of equivalent atoms:
Ni (0.0000, 0.0000, 0.2500) x4
Rh (0.2200, 0.4108, 0.0000) x8
F (0.0000, 0.5000, 0.0000) x4
F (0.0731, 0.1716, 0.5000) x8
F (0.1412, 0.3099, 0.1331) x16
F (0.1838, 0.0258, 0.1291) x16

Top 10 peaks for 10° ≤ 2θ ≤ 90°, in order of rising 2θ:
'''
So, I've hit this same error.
Generating initramfs...
:: running build_hook: base
:: running build_hook: modules
WARNING: missing firmware for wd719x: wd719x-risc.bin
WARNING: missing firmware for wd719x: wd719x-wcs.bin
WARNING: missing firmware for aic94xx: aic94xx-seq.fw
:: running build_hook: udev
:: running build_hook: livecd
:: generating initramfs...
Generating initramfs done: /boot/initrd-live.img (24M)
:: Setup UEFI mode...
grub-mkimage: error: cannot open `/usr/lib/grub/x86_64-efi/moddep.lst': No such file or directory.
I'm not sure if this is looking in the host filesystem or in the built target, but I can confirm that the file does exist in the target that just got built. Absolute path from the host is /mnt/lfs/usr/lib/grub/x86_64-efi/moddep.lst
so if this is running in a chroot inside /mnt/lfs, this should work, but i'm not sure what the problem is really.
I should also mention that this file does not exist in my host filesystem (the debian 10 install used to build the LFS system)
@M0E-lnx owh, looks like its trying to find grub-efi files from host. Try install ‘grub-efi’ (not sure if different distro called different name) to your host. I will try to make it find grub-efi files from target system.
@M0E-lnx that's why I symlinked those (there are 2 needed at this point) to the host before running sudo ./03-mkiso
until now that was the only method I had to build thru 6 times.
@emmett1 I#m not sure about that. The scripts are looking for the grub-efi that was built during 02-base, symlinking these gives the script what it needs or is looking for, the script is just looking outside of the chroot somehow. I think if you add it to the host from it's package manager, then the script will get the info fron the host file and not those from the newly built LFS System.
@hyperclock The 03-mkiso script is using tools from host to create iso, so it definitely use grub-efi from host except syslinux file i can point to newly built LFS System to use it. So nothing is wrong with the script. And it does not using chroot to create the iso. The only part script use chroot is to create initrd that support live boot. So to run 03-mkiso script, grub-efi is required for host system. Or maybe i will try to add it to temporary toolchain to use it.